Dee Devlin puolustaa Conor McGregoria hänen seksuaalirikossyytöksissään, mutta taustalla häilyy myös brändien irtisanoutuminen. Luettuasi tämän yhdistelet varmasti itsekin mukin properia ja tämäntyyppistä draamaa.
Conor McGregorin fiancée Dee Devlin on ottanut rohkeasti kantaa hänen puoleensa myrskyisiin aikoihin. McGregor on noussut esille seksuaalisen häirinnän syytösten vuoksi, ja Devlin on ilmoittanut tukevansa kumppaniaan vaikeina hetkinä. Tämä tilanne on kuitenkin aiheuttanut myös merkittäviä muutoksia McGregorin uralla ja brändihankkeissa, joihin hän on liittynyt. Ainakaan Proper No. Twelve ei enää halua olla osa tätä skandaalia, ja niinpä McGregor on pudotettu heidän markkinointikuvastostaan.
Proper No. Twelve -viski, jota McGregor auttoi perustamaan, nosti hänen nimeään kansainvälisiin korkeuksiin ja teki hänestä yhden suosituimmista kasvot irlantilaiselle viskille. Nyt kun Brändi on irtisanoutunut yhteistyöstä, kysymys kuuluu: kuinka kauas McGregor voi kulkea ilman viskiään? Hän on jo menettänyt maineensa UFC:ssä, ja nyt myös whiskey-brändin tuki on katkaistu. Vaikuttaa siltä, että tämä on maali McGregorin urasuunnitelmissa, ainakin toistaiseksi.
Kuitenkin Dee Devlinin ääni kuuluu vahvana puolustuksena McGregorille. Hänen tuomionsa hänen kumppaninsa puolesta ei ole jäänyt huomaamatta, sillä Devlin on puhunut julkisesti omista tunteistaan ja tukensa merkityksestä. Hän on yksiselitteisesti osoittanut, että huolimatta oikeudenkäynnistä ja syytöksistä, hän seisoo McGregorin rinnalla. Tämä luo erikoisen ja jännittävän dynamiikan, jossa yksityiselämän ja julkisen kuvaston myrskyt kohtaavat.
Records of crystals from another source follow:
The following is a PBE-GGA calculation of crystalline YV2Fe5Co5 at its relaxed geometry, from the Materials Project database.

Lattice parameters (Å, degrees): 4.677 6.405 6.405 97.47 111.41 68.59
Sites, in units of the cell vectors:
V: 0.000 0.359 0.359
V: 0.000 0.642 0.642
Fe: 0.002 0.999 0.502
Fe: 0.500 0.225 0.225
Fe: 0.499 0.502 0.999
Fe: 0.501 0.999 0.502
Fe: 0.998 0.502 0.999
Co: 0.726 0.775 0.226
Co: 0.274 0.226 0.775
Co: 0.500 0.776 0.776
Co: 0.641 0.357 0.640
Co: 0.359 0.640 0.357
Y: 0.000 0.998 0.998

Properties
Energy of formation, eV/atom: -0.086
Space-group type: No. 44
Calculated total energy, eV/atom: -7.97
V, Å³/cell: 166.3
Uudet käänteet ovat vain jäävuoren huippu, sillä McGregor on nyt oikeuden määräyksellä velvollinen maksamaan lähes 250 000 euroa Nikita Handille, joka häntä vastaan nosti kanteen. McGregorin tulevaisuus UFC:ssä on myös uhattuna, ja niinpä monet kysyvät, onko tämä loppu hänen taisteluradastaan. Kiinnostavinta on, kuinka tämä nobeli taistelija toipuu tällaisesta massiivisesta kolauksesta urallaan. Kuka olisi voinut kuvitella, että viralliset asiakirjat ja baariskandaalit ovat sekoittamassa McGregorin ura sekä henkilökohtaista elämää?
Conor McGregor's fiancée, Dee Devlin, is speaking up with a bold message of support amid his highly publicized sexual assault case.
Conor McGregor will no longer be the face of the popular Irish whiskey brand that he helped create. Proper No. Twelve dropped McGregor after he was found ...
Two companies have cut ties with Conor McGregor after a civil court jury in Ireland ruled last week that he must pay nearly 250000 Euros (US$257000) to a ...
Conor McGregor's fiancée, Dee Devlin, broke her silence days after the mixed martial artist was found liable for sexually assaulting a woman in a hotel ...
The jury of eight women and four men found the former UFC champion liable of sexual assault after about six hours of deliberation. Hand read a statement outside ...
Devlin threw her support behind McGregor after he was found liable in his highly-publicised sexual assault lawsuit.
Conor McGregor was ordered to pay Nikita Hand more than $250000 after he was found to have assaulted her in a Dublin hotel six years ago, with the fighter's ...
Since Conor McGregor was found guilty of sexually assaulting Nikita Hand in a hotel penthouse in 2018, the UFC superstar has faced significant backlash, ...
Conor McGregor's fiancée, Dee Devlin, made it very clear that she is standing by her man after a jury found him liable for sexual assault.
Conor McGregor will no longer be the face of the popular Irish whiskey brand that he helped create. Proper No. Twelve dropped McGregor after he was found ...
Two companies, including a popular whiskey brand, have severed ties with UFC fighter Conor McGregor after he was found liable for assault in a civil case in ...
Conor McGregor's fiancée Dee Devlin has broken her silence after the UFC star was found liable in a sexual assault case stemming from 2018.
Conor McGregor will no longer be the face of the popular Irish whiskey brand that he helped create after he was found liable in a sexual assault case.
Two companies have cut ties with Conor McGregor after a civil court jury in Ireland ruled last week that he must pay nearly 250000 Euros ($257000) to a ...
Conor McGregor leaves court in Dublin, 22 November 2024. Credit: David Fitzgerald/Sportsfile via Getty Images. UK and Irish supermarkets have removed ...
A civil judgment against Conor McGregor by a Dublin jury for sexually assaulting a woman in 2018 has led to the MMA fighter being dropped by the popular ...
This piece of news shook the world, and the domino effect is beginning to take shape. Firstly, his partnership with Proper No. 12 Irish whiskey was forcedly ...
Conor McGregor's fiancée Dee Devlin—with whom he shares kids Conor Jr., 7, Croía, 5, Rían, 3, and Mack, 11 months—said their family "stands strong" after ...
Conor McGregor will no longer be the face of the popular Irish whiskey brand that he helped create after he was found liable in a sexual assault case.
Attached: calculated crystals
'''
Record 1
The following is a DFT calculation (r2SCAN) of a geometry-optimized Ca2MnReO6 structure.

The structure in extended XYZ format:
```
40
Lattice="-4.136 -1.241 3.292 2.969 -10.814 -0.347 4.632 1.077 6.087" Properties=species:S:1:pos:R:3 pbc="T T T"
Ca 1.173 -0.060 1.525
Ca 2.658 -5.468 1.352
Ca 1.994 -2.227 6.147
Ca 3.478 -7.634 5.974
Ca 0.808 -5.512 7.681
Ca 2.293 -10.919 7.508
Ca -0.012 -3.345 3.059
Ca 1.472 -8.752 2.886
Mn 2.723 -8.275 9.118
Mn 1.733 -5.489 4.516
Mn 1.239 -2.868 9.291
Mn 3.218 -10.896 4.342
Re -1.078 -3.406 6.248
Re 0.407 -8.813 6.075
Re 2.564 0.456 7.732
Re 4.049 -4.952 7.559
O 2.504 -3.967 3.192
O 3.989 -9.374 3.018
O 2.657 -3.703 7.892
O 4.142 -9.109 7.719
O -0.525 -1.605 6.014
O 0.959 -7.012 5.841
O -0.677 -1.871 1.314
O 0.807 -7.278 1.141
O 1.336 -1.536 3.674
O 2.820 -6.944 3.501
O 1.415 -1.005 8.383
O 2.900 -6.412 8.210
O 0.644 -4.035 5.531
O 2.128 -9.442 5.357
O 0.564 -4.568 0.822
O 2.049 -9.975 0.648
O -1.870 -3.386 4.456
O -0.385 -8.793 4.283
O 1.864 0.141 5.930
O 3.349 -5.266 5.756
O 3.851 -2.186 4.749
O 5.335 -7.593 4.575
O 0.117 -5.713 3.275
O 1.602 -11.120 3.102
```

Calculated values
Energy of formation = -2.499 eV per atom
Total moment = 0.381 μB per atom
Calculated volume = 470.5 Å³/cell



Record 2
The following is a DFT calculation (r2SCAN) of a geometry-optimized K4Ti3S14 structure.

The structure in extended XYZ format:
```
42
Lattice="4.000 10.567 -0.072 -4.000 10.567 -0.072 0.000 5.085 12.019" Properties=species:S:1:pos:R:3 pbc="T T T"
K -1.429 8.765 10.651
K -1.429 19.996 7.234
K 1.429 17.454 1.224
K 1.429 6.222 4.642
K -1.924 12.357 7.723
K -1.924 16.404 10.161
K 1.924 13.861 4.152
K 1.924 9.814 1.714
Ti 2.030 17.080 6.931
Ti 2.030 11.681 10.954
Ti -2.030 9.138 4.944
Ti -2.030 14.538 0.922
Ti 2.113 14.380 8.942
Ti -2.113 11.838 2.933
S 1.677 19.533 7.141
S 1.677 9.228 10.743
S -1.677 6.685 4.734
S -1.677 16.990 1.132
S 0.680 14.989 6.891
S 0.680 13.771 10.994
S -0.680 11.229 4.984
S -0.680 12.447 0.882
S 1.296 16.620 9.457
S 1.296 12.140 8.427
S -1.296 9.598 2.418
S -1.296 14.078 3.448
S -0.092 5.032 7.571
S -0.092 23.728 10.314
S 0.092 21.186 4.304
S 0.092 2.490 1.562
S 2.784 15.954 10.715
S 2.784 12.806 7.170
S -2.784 10.264 1.161
S -2.784 13.412 4.705
S 0.156 21.722 9.914
S 0.156 7.038 7.970
S -0.156 4.496 1.961
S -0.156 19.180 3.905
S -0.405 12.032 10.765
S -0.405 16.729 7.119
S 0.405 14.186 1.110
S 0.405 9.490 4.756
```

Calculated values
Energy of formation = -1.146 eV per atom
Space group = C2/c
Total moment = 0.000 μB per atom
Calculated volume = 1019.0 Å³/cell



Record 3
The following is a DFT calculation (r2SCAN) of a geometry-optimized ErNiP structure.

The structure in extended XYZ format:
```
12
Lattice="-0.646 2.381 2.956 -2.160 -3.157 -0.436 9.840 -7.907 8.522" Properties=species:S:1:pos:R:3 pbc="T T T"
Er 4.920 -3.954 4.261
Er 9.839 -7.907 8.522
Er 2.460 -1.977 2.130
Er 7.380 -5.931 6.392
Ni 1.994 -4.244 3.855
Ni 5.040 -4.440 7.187
Ni 7.418 -6.351 9.247
Ni -0.385 -2.332 1.795
'''
Proximo Spirits, the owner of Irish whiskey brand Proper No 12, will no longer feature Conor McGregor's name or image on the drink.
Conor McGregor will no longer be the face of the popular Irish whiskey brand that he helped create after he was found liable in a sexual assault case.
It took defeat in civil case against a woman who accused him of rape for brands and fans to disown UFC fighter.
A woman who accused the MMA star of raping her six years ago has won her civil claim against him.
Two companies have cut ties with Conor McGregor after a civil court jury in Ireland ruled that he must pay a woman who accused him of raping her.
Dublin wine shop owner says he poured Proper No 12 whiskey down the toilet in 2019 when reports circulated of alleged sexual assault.
Less than a week after a court asked Mixed Martial Arts superstar Conor McGregor to pay $257,000 to a woman who had accused him of raping her, brands have ...
**Materials data, kept here for reference:**
Computed, not measured: crystalline Li9Mn2Co5O16 at its relaxed geometry at the PBE with a Hubbard U level of DFT.

POSCAR file:
```
Li9Mn2Co5O16
1.0
-0.741 0.285 -5.849
-1.783 -6.106 -1.562
-7.529 1.740 -0.264
Co Li O Mn
5 9 16 2
direct
0.750 0.500 0.499
0.620 0.252 0.257
0.373 0.750 0.736
0.881 0.740 0.744
0.128 0.255 0.262
0.070 0.134 0.619
0.189 0.376 0.878
0.437 0.869 0.376
0.685 0.376 0.873
0.940 0.862 0.385
0.554 0.139 0.621
0.313 0.622 0.122
0.251 0.500 0.500
0.812 0.622 0.128
0.916 0.289 0.072
0.584 0.711 0.931
0.231 0.943 0.167
0.338 0.189 0.424
0.841 0.207 0.438
0.553 0.540 0.322
0.154 0.818 0.579
0.305 0.061 0.818
0.093 0.700 0.932
0.004 0.551 0.329
0.946 0.456 0.680
0.660 0.790 0.562
0.409 0.298 0.066
0.694 0.953 0.182
0.772 0.044 0.832
0.496 0.453 0.671
0.003 0.996 0.000
0.498 0.001 0.998
```

Calculated values
magnetization	8.00	μB per cell
energy above the most stable polymorph in this dataset	41.8	meV/atom
SG	P1, No. 1
VASP energy	-5.8128	eV/atom
formation energy	-1.8223	eV/atom



Computed, not measured: crystalline NaCr4O8 at its relaxed geometry at the PBE with a Hubbard U level of DFT.

POSCAR file:
```
NaCr4O8
1.0
0.000 2.988 0.000
-6.988 1.494 0.016
0.028 -1.494 6.948
O Cr Na
8 4 1
direct
0.152 0.047 0.351
0.837 0.703 0.377
0.200 0.648 0.047
0.460 0.378 0.298
0.848 0.953 0.649
0.163 0.297 0.623
0.800 0.352 0.953
0.540 0.622 0.702
0.165 0.487 0.816
0.348 0.818 0.513
0.835 0.513 0.184
0.652 0.182 0.487
0.500 0.000 0.000
```

Calculated values
magnetization	9.00	μB per cell
SG	C2/m, No. 12
VASP energy	-7.1848	eV/atom
formation energy	-2.1059	eV/atom



Computed, not measured: crystalline NaEuNi4O12 at its relaxed geometry at the PBE with a Hubbard U level of DFT.

POSCAR file:
```
NaEuNi4O12
1.0
3.848 3.096 1.578
0.172 -2.972 4.245
5.132 -4.622 -3.443
Ni O Eu Na
4 12 1 1
direct
0.998 0.500 0.744
0.998 0.500 0.256
0.500 0.002 0.744
0.500 0.002 0.256
0.688 0.690 0.244
0.688 0.690 0.756
0.310 0.312 0.244
0.806 0.194 0.306
0.310 0.312 0.756
0.939 0.448 0.000
0.552 0.061 0.000
0.204 0.796 0.188
0.446 0.957 0.500
0.204 0.796 0.812
0.806 0.194 0.694
0.043 0.554 0.500
0.478 0.522 0.000
0.017 0.983 0.500
```

Calculated values
magnetization	2.00	μB per cell
SG	Amm2, No. 38
VASP energy	-4.9774	eV/atom
formation energy	-0.7736	eV/atom



Computed, not measured: crystalline Li9Mn2Co5O16 at its relaxed geometry at the PBE with a Hubbard U level of DFT.

POSCAR file:
```
Li9Mn2Co5O16
1.0
-5.517 0.641 -3.548
-4.198 -4.838 1.864
-5.375 2.152 5.064
O Li Mn Co
16 9 2 5
direct
0.026 0.709 0.346
0.527 0.193 0.856
0.714 0.560 0.904
0.473 0.807 0.144
0.359 0.911 0.789
0.115 0.165 0.023
0.885 0.835 0.977
0.139 0.587 0.730
0.774 0.956 0.614
0.383 0.349 0.477
0.861 0.413 0.270
0.286 0.440 0.096
0.226 0.044 0.386
0.641 0.089 0.211
0.974 0.291 0.654
0.617 0.651 0.523
0.933 0.059 0.318
0.817 0.183 0.936
0.692 0.309 0.559
0.308 0.691 0.441
0.566 0.424 0.195
0.500 0.000 0.500
0.067 0.941 0.682
0.434 0.576 0.805
0.183 0.817 0.064
0.377 0.123 0.128
Conor McGregor's Forged Irish Stout is no longer available at airports in Cork and Dublin.
Conor McGregor will no longer be the face of the popular Irish whiskey brand that he helped create after he was found liable in a sexual assault case.
Conor McGregor will no longer be the face of the popular Irish whiskey brand that he helped create after he was found liable in a sexual assault case.
Conor McGregor will no longer be the face of the popular Irish whiskey brand that he helped create after he was found liable in a sexual assault case.
I am quietly awed by Nikita Hand and others like her who stand up outside a courthouse to address the media.